**Work order**
Your job: say how many lines of the block further below hold the word "gives", as a bare number.

**File**
/*
Entry 1:
# KFeCoP2O8
Theoretical powder X-ray diffraction pattern, Cu Ka. Input: a structure optimized by DFT (PBE+U).

Cell and atoms:
```
52
Lattice="5.221 0.000 0.000 0.000 14.632 0.000 -2.386 0.000 9.083" Properties=species:S:1:pos:R:3 pbc="T T T"
K 0.181 2.558 2.868
K -1.011 4.757 7.410
K 3.847 9.874 1.673
K 2.654 12.073 6.215
Fe -0.925 9.192 8.008
Fe 0.267 12.756 3.467
Fe 2.568 1.876 5.617
Fe 3.761 5.440 1.075
Co -1.026 0.698 8.750
Co 0.167 6.618 4.209
Co 2.669 8.013 4.875
Co 3.862 13.934 0.333
P 0.053 9.843 4.886
P 1.245 12.104 0.344
P 0.003 0.102 6.146
P 1.195 7.214 1.604
P 1.640 7.418 7.479
P 2.833 14.529 2.938
P 1.590 2.527 8.740
P 2.783 4.788 4.198
O -1.393 0.715 6.574
O -0.201 6.601 2.032
O -0.654 8.580 4.263
O -1.847 13.368 8.805
O -1.642 10.893 8.582
O -0.449 11.054 4.041
O 0.956 8.480 0.761
O -0.237 13.468 5.303
O -0.456 10.081 6.325
O 0.737 11.866 1.783
O 0.772 1.171 5.323
O 1.965 6.145 0.782
O 0.057 2.431 8.789
O 1.250 4.884 4.248
O 2.145 0.221 1.598
O 0.953 7.095 6.139
O 1.883 7.536 2.944
O 0.690 14.411 7.486
O 1.586 9.747 4.836
O 2.778 12.200 0.294
O 0.871 8.487 8.302
O 2.063 13.461 3.760
O 2.099 2.765 7.300
O 3.292 4.550 2.758
O 3.072 1.164 3.781
O 1.879 6.152 8.322
O 3.285 3.577 5.043
O 4.477 3.739 0.501
O 4.683 1.264 0.278
O 3.490 6.052 4.820
O 3.036 8.031 7.051
O 4.229 13.916 2.509
```

Most intense lines, 15 to 90 degrees two-theta, by angle:
h k l	2θ (°)	I/Imax
0 2 1	15.55	424
1 1 0	18.59	320
0 0 2	19.55	242
1 3 -1	25.55	568
1 3 1	28.85	1000
0 1 3	30.14	731
1 4 -1	30.30	552
0 2 3	31.99	231
1 4 -2	33.57	232
1 5 0	35.45	247
2 0 0	35.56	426
1 7 0	47.06	213

=====

Entry 2:
# LaMgFeCoO6
Theoretical powder X-ray diffraction pattern, Cu Ka. Input: a structure optimized by DFT (PBE+U).

Cell and atoms:
```
20
Lattice="5.295 0.000 0.000 0.000 5.437 0.000 -5.242 0.000 7.589" Properties=species:S:1:pos:R:3 pbc="T T T"
La 0.000 1.174 0.000
La -2.621 4.263 3.794
Mg 0.211 1.680 3.787
Mg -2.410 3.757 7.582
Fe -2.565 1.356 5.675
Fe 0.056 4.081 1.880
Co 2.701 1.368 1.907
Co 0.080 4.068 5.702
O -1.908 1.264 3.763
O -4.529 4.173 7.558
O 2.292 1.607 0.045
O -0.330 3.830 3.840
O 1.116 0.279 2.347
O -1.505 5.157 6.142
O -1.127 2.682 6.112
O 1.494 2.754 2.317
O 1.067 0.234 5.269
O 3.689 5.202 1.475
O 4.072 2.611 1.517
O 1.451 2.825 5.311
```

Most intense lines, 15 to 90 degrees two-theta, by angle:
h k l	2θ (°)	I/Imax
0 1 1	20.09	614
1 0 0	20.38	310
1 0 -2	20.52	299
0 2 0	32.95	451
1 1 1	33.31	1000
1 1 -3	33.49	978
2 0 -2	33.86	415
1 2 -2	39.09	254
2 1 -1	39.60	249
0 0 4	47.96	855
3 1 -1	60.15	325
3 1 -5	60.45	227

=====

Entry 3:
# La2FeCoO6
Theoretical powder X-ray diffraction pattern, Cu Ka. Input: a structure optimized by DFT (PBE+U).

Cell and atoms:
```
20
Lattice="5.566 0.000 0.000 0.000 5.501 0.000 -5.455 0.000 7.980" Properties=species:S:1:pos:R:3 pbc="T T T"
La -0.001 0.124 1.984
La -2.729 2.626 5.974
La 2.840 2.875 2.006
La 0.112 5.376 5.996
Fe 2.783 0.000 0.000
Fe 0.056 2.750 3.990
Co -2.727 0.000 3.990
Co 0.000 2.750 0.000
O -4.233 1.255 7.653
O -1.505 1.496 3.663
O -3.938 3.972 7.649
O -1.210 4.279 3.659
O -2.272 0.067 6.029
O 0.456 2.683 2.039
O -0.345 2.818 5.941
O 2.383 5.433 1.951
O 1.322 1.222 4.321
O 4.049 1.528 0.331
O 1.617 4.005 4.317
O 4.344 4.246 0.327
```

Most intense lines, 15 to 90 degrees two-theta, by angle:
h k l	2θ (°)	I/Imax
1 1 -1	22.73	173
1 1 1	31.88	709
1 1 -3	32.19	1000
0 2 0	32.56	318
0 2 2	39.79	226
0 0 4	45.47	207
2 2 -2	46.42	386
3 1 -1	57.00	300
3 1 -5	57.61	264
1 3 -3	57.87	117
2 2 2	66.63	106
2 2 -6	67.35	160

~~~~~

For Er8Ru2Rh, a structure optimized by DFT (PBE) gives the calculated X-ray powder pattern in this record (λ = 1.5418 Å (Cu Kα)).
Kinematic intensities with the Lorentz-polarization factor, no thermal factor.

Peak list (8 most intense, 10° ≤ 2θ ≤ 90°, most intense first)
- 33.0 deg, intensity 100, (0 4 1)
- 39.6 deg, intensity 98, (1 5 -1)
- 33.8 deg, intensity 96, (3 1 -1)
- 31.4 deg, intensity 85, (1 3 1)
- 31.7 deg, intensity 81, (1 1 -2)
*/

**Completed**
1